This Is Your Life Motto, According To Your Zodiac Sign

Your 20s May Be About ‘Finding Yourself,’ But It’s Okay To Ask For These 3 Things

Life as a 20-something is typically a whirlwind of confusion, and there isn’t always a rhyme or reason to how it pans out.

Sometimes we begin to experience that sense of comfort assuring us we are on the right path, only to be abruptly thrown off course by an unwelcome plot twist.

These years are often regarded as the perfect time to “try new things” and “explore what you want,” and doing this requires a sense of self-reflection.

Although introspection is critical here, it can also cause us to place a great deal of pressure on ourselves.

Since we feel obligated to figure it all out on our own, we are sometimes hesitant to recruit an outside source for support.

The truth is, our 20s are swarming in ambiguity. When guidance presents itself, don’t feel guilty about welcoming it.

Here are three things you should never feel too ashamed to ask for:

1.  Empathy, even when you’re being slightly dramatic.

Our lives are fast-paced, filled with busy schedules and impending deadlines.

As we place our primary focus on our everyday obligations, it’s often difficult to take the time to truly talk about things that bother us.

This is where a good listener comes in.

After bottling up our emotions for days or even weeks, simply venting to a friend can feel like a weight lifted off of our shoulders.

Regardless of how significant the issue may be, it’s okay to unapologetically express how it makes you feel.

After all, ignoring a problem and distracting yourself may seem like a promising solution – but it will always find its way back to you.

So grab a real friend who will listen without judgment, and have a good old-fashioned venting sesh (preferably over wine.)

We often silence our concerns out of fear that it’s not important enough or worth talking about, but that silence will set you back much further than honesty ever will.

2. Closure, despite the fear of coming off needy.

Many things are left open-ended in our 20s, and our next move isn’t always as clear-cut as we would like it to be.

The question “where do you see yourself in 5 years” haunts us with anxiety, because we’re often unclear about where we’ll be in the next 6 months.

Inserted here: crystal structures =
=====
# 1
Computed powder XRD pattern
Compound: Cu2Ag3
Radiation: a wavelength of 1.5418 Å
Structure: the GGA-PBE geometry in OQMD
No peak broadening, texture or thermal motion is included.

The 10 most intense peaks (2θ from 10° to 90°), in order of falling intensity:
| 2θ/deg | Rel. int. |
| --- | --- |
| 39.4 | 100 |
| 45.8 | 47 |
| 80.4 | 32 |
| 66.8 | 28 |
| 84.7 | 9 |
| 30.3 | 4 |
| 31.9 | 4 |
| 14.1 | 2 |
| 63.9 | 2 |
| 36.6 | 2 |

a = 6.268 Å, b = 6.268 Å, c = 3.962 Å
α = 90.00°, β = 90.00°, γ = 90.00°
Fractional positions:
Cu  0.092  0.178  0.000
Cu  0.178  0.908  0.500
Cu  0.822  0.092  0.500
Cu  0.908  0.822  0.000
Ag  0.000  0.500  0.500
Ag  0.289  0.606  0.000
Ag  0.394  0.289  0.500
Ag  0.500  0.000  0.000
Ag  0.606  0.711  0.500
Ag  0.711  0.394  0.000

=====

# 2
Computed powder XRD pattern
Compound: TbYCu2As4
Radiation: a wavelength of 1.5418 Å
Structure: the GGA-PBE geometry in OQMD
No peak broadening, texture or thermal motion is included.

The 10 most intense peaks (2θ from 10° to 90°), in order of falling intensity:
| 2θ/deg | Rel. int. |
| --- | --- |
| 37.2 | 100 |
| 46.4 | 35 |
| 35.6 | 21 |
| 79.9 | 21 |
| 29.1 | 20 |
| 51.8 | 15 |
| 36.4 | 13 |
| 60.4 | 12 |
| 24.5 | 11 |
| 67.7 | 11 |

a = 3.914 Å, b = 3.914 Å, c = 9.877 Å
α = 90.00°, β = 90.00°, γ = 90.00°
Fractional positions:
Tb  0.000  0.000  0.000
Y  0.500  0.500  0.473
Cu  0.000  0.500  0.737
Cu  0.500  0.000  0.737
As  0.000  0.000  0.577
As  0.000  0.500  0.237
As  0.500  0.000  0.237
As  0.500  0.500  0.896

=====

# 3
Computed powder XRD pattern
Compound: Rb3TaTeSe3
Radiation: a wavelength of 1.5418 Å
Structure: the GGA-PBE geometry in OQMD
No peak broadening, texture or thermal motion is included.

The 10 most intense peaks (2θ from 10° to 90°), in order of falling intensity:
| 2θ/deg | Rel. int. |
| --- | --- |
| 26.1 | 100 |
| 31.2 | 74 |
| 28.3 | 70 |
| 15.5 | 66 |
| 46.0 | 39 |
| 14.0 | 38 |
| 20.9 | 37 |
| 43.0 | 31 |
| 32.8 | 24 |
| 36.5 | 24 |

a = 7.155 Å, b = 7.155 Å, c = 7.155 Å
α = 106.39°, β = 106.39°, γ = 106.39°
Fractional positions:
Rb  0.185  0.185  0.630
Rb  0.185  0.630  0.185
Rb  0.630  0.185  0.185
Ta  0.716  0.716  0.716
Te  0.046  0.046  0.046
Se  0.385  0.725  0.725
Se  0.725  0.385  0.725
Se  0.725  0.725  0.385

=====

# 4
Computed powder XRD pattern
Compound: Cs2NiP2S6
Radiation: a wavelength of 1.5418 Å
Structure: the GGA-PBE geometry in OQMD
No peak broadening, texture or thermal motion is included.

The 10 most intense peaks (2θ from 10° to 90°), in order of falling intensity:
| 2θ/deg | Rel. int. |
| --- | --- |
| 30.1 | 100 |
| 23.7 | 76 |
| 31.7 | 69 |
| 31.6 | 50 |
| 20.4 | 42 |
| 20.6 | 41 |
| 19.5 | 36 |
| 22.9 | 33 |
| 48.6 | 31 |
| 39.7 | 29 |

a = 5.947 Å, b = 12.843 Å, c = 9.486 Å
α = 90.00°, β = 125.13°, γ = 90.00°
Fractional positions:
Cs  0.205  0.172  0.469
Cs  0.205  0.328  0.969
Cs  0.795  0.672  0.031
Cs  0.795  0.828  0.531
Ni  0.500  0.000  0.000
Ni  0.500  0.500  0.500
P  0.168  0.538  0.620
P  0.168  0.962  0.120
=====

As this uncertainty prevails, we long for reassurance in areas where it’s feasible – such as relationships.

However, we often hold ourselves back from asking for that validation.

We worry about coming off as needy or overly dependent.

We perceive our desire for closure as self-defeat. We feel that we have failed ourselves by letting another person exert power over our emotions.

In actuality, the concept of loving yourself and letting another person in aren’t mutually exclusive.

While placing your happiness in another person’s hands is toxic, asking for clarity is necessary.

With so many blank answers surrounding you in your 20s, the way someone feels about you shouldn’t be one of them.

3. Feedback, regardless of how confident you want to appear.

In our professional lives, it can sometimes be difficult to muster up the courage for a simple “how am I doing?”

We want to appear readily capable and self-sufficient in our careers, and this makes us reluctant to ask for a reaction to our performance.

While constant check-ins are a definite no-no, don’t be afraid to schedule a performance-focused discussion from time to time.

Constructive feedback will not only ensure that you’re meeting expectations, but it will help you understand the actions you need to take to advance.

Rather than exuding a lack of confidence, your feedback request will showcase your initiative to grow.

Even outside of the professional realm, most of our avoided questions are rooted in the fear of coming across as insecure.

However, sometimes asking for help is the only way to push yourself closer to that sense of security.

And on that cliche journey to “find yourself,” nobody expects you to do it alone. TC mark

About the author

Sara Uzer

Insightful yet Brutally Honest.